One of the requirements of applying for a Schengen Visa is a round trip or flight itinerary. Now, does that mean that you actually have to shell out precious money on an air ticket to avail the visa? And then, at the end of the process, what if your Visa Application is rejected? Will you also have to bid goodbye to your airline money? Sounds awfully scary, doesn’t it? But be assured: that is not what the Embassy is actually looking for. The Visa Processing Panel at the Embassy does realize that it would be utter stupidity to expect travellers to purchase a full-fledged airline ticket before their visa comes through.
So, what do they really mean when they say that you need to submit a flight itinerary for visa application? Well, the explanation it is quite simple. A flight itinerary is not the actual airline ticket at all. It is just a dummy flight ticket with a reservation number printed on it. However, you must remember, that though the full and total airline fee is not taken for a dummy itinerary, a small nominal fee is definitely charged for processing your travel information. In essence this itinerary is a document which details your flight plan to a single or multiple Schengen countries along with the flight name, number, booking ID, IATA codes, arrival and departure dates. Because of all these details, your dummy itinerary will look quite a lot like the real ticket. But remember, it is not!
Why Do Embassies ask for a Flight Itinerary for Schengen Visa Processing?
There are three primary reasons why embassies ask for a flight itinerary.
- To control your stay and the stay of hundreds of other visitors to the Schengen region. A round-trip ticket highlighting your arrival and departure dates helps them keep track of Schengen visitors during a specific time period.
### Here the piece breaks off for materials data
____________
No. 1
For AgP2, DFT lattice parameters and positions (GGA-PBE) gives the calculated powder X-ray diffraction pattern in this record (Cu Kα).
Intensities are scaled so that the largest is 100.

Lattice parameters (Å, degrees): 6.2509 5.1114 7.8823 90.00 113.43 90.00
Space group P2_1/c (No. 14)
One atom of each set of equivalent atoms:
Ag1 0.1442 0.0470 0.4020 x4
P1 0.2764 0.7320 0.6994 x4
P2 0.4108 0.0937 0.0839 x4

Principal peaks in the range 2θ from 10° to 80°, in order of rising 2θ:
d_spacing, I_rel, hkl
5.735, 12.7, 1 0 0
4.174, 39.6, 0 1 1
3.058, 100.0, 1 1 1
2.870, 27.4, 2 0 -2
2.666, 18.6, 2 1 -1
2.336, 36.1, 1 1 -3
2.147, 9.6, 2 1 -3
1.912, 24.2, 3 1 -1
1.908, 28.3, 2 0 2
1.831, 13.6, 1 2 2

No. 2
For Ag4P3, DFT lattice parameters and positions (GGA-PBE) gives the calculated powder X-ray diffraction pattern in this record (Cu Kα).
Intensities are scaled so that the largest is 100.

Lattice parameters (Å, degrees): 4.7945 4.7945 6.2146 90.00 90.00 120.00
Space group P6/mmm (No. 191)
One atom of each set of equivalent atoms:
Ag1 0.0000 0.0000 0.2187 x2
Ag2 0.3333 0.6667 0.0000 x2
P1 0.0000 0.5000 0.5000 x3

Principal peaks in the range 2θ from 10° to 80°, in order of rising 2θ:
d_spacing, I_rel, hkl
6.215, 36.4, 0 0 1
2.488, 100.0, 1 0 2
2.397, 64.2, 1 1 0
2.237, 53.0, 1 1 1
1.854, 14.1, 1 0 3
1.726, 13.6, 2 0 2
1.466, 15.6, 2 0 3
1.401, 30.3, 2 1 2
1.384, 10.4, 3 0 0
1.304, 12.0, 1 1 4

No. 3
For Ag3P, DFT lattice parameters and positions (GGA-PBE) gives the calculated powder X-ray diffraction pattern in this record (Cu Kα).
Intensities are scaled so that the largest is 100.

Lattice parameters (Å, degrees): 6.3996 7.7559 5.9178 90.00 90.00 90.00
Space group Pnma (No. 62)
One atom of each set of equivalent atoms:
Ag1 0.0317 0.2500 0.2132 x4
Ag2 0.2224 0.0570 0.5967 x8
P1 0.1806 0.7500 0.4308 x4

Principal peaks in the range 2θ from 10° to 80°, in order of rising 2θ:
d_spacing, I_rel, hkl
3.200, 28.4, 2 0 0
2.686, 82.7, 1 0 2
2.646, 94.5, 2 1 1
2.468, 100.0, 2 2 0
2.369, 65.6, 0 3 1
2.352, 28.7, 0 2 2
2.222, 88.5, 1 3 1
2.208, 67.8, 1 2 2
2.172, 36.7, 2 0 2
1.408, 31.0, 2 3 3

No. 4
For Ag3P, DFT lattice parameters and positions (GGA-PBE) gives the calculated powder X-ray diffraction pattern in this record (Cu Kα).
Intensities are scaled so that the largest is 100.

Lattice parameters (Å, degrees): 4.1161 4.1161 8.2066 90.00 90.00 90.00
Space group I4/mmm (No. 139)
One atom of each set of equivalent atoms:
Ag1 0.0000 0.0000 0.0000 x2
Ag2 0.0000 0.5000 0.2500 x4
P1 0.0000 0.0000 0.5000 x2

Principal peaks in the range 2θ from 10° to 80°, in order of rising 2θ:
d_spacing, I_rel, hkl
4.103, 5.0, 0 0 2
3.679, 15.6, 1 0 1
2.374, 100.0, 1 1 2
2.278, 4.4, 1 0 3
2.058, 32.2, 2 0 0
2.052, 15.9, 0 0 4
1.455, 9.9, 2 2 0
1.453, 19.8, 2 0 4
1.241, 23.2, 3 1 2
1.238, 11.5, 1 1 6

No. 5
For Ag3P, DFT lattice parameters and positions (GGA-PBE) gives the calculated powder X-ray diffraction pattern in this record (Cu Kα).
____________
- To decide how long they should issue the visa for.
- To ensure that you are applying at the correct embassy or consulate.
How to Acquire a Flight Itinerary for Visa?
It is easy enough to acquire a flight itinerary for your visa application. Several airline booking services can do it for you for a nominal fee, and so can the airline themselves directly. Some airlines even offer the service free of charge.
The reservation is usually valid for only a short period time – a week at most. In case you delay buying the real ticket within that span of time, your reservation can even get cancelled, and you will lose even that nominal amount.
Some embassies, however, are not satisfied with you submitting only a flight itinerary to fulfil your Visa Application requirements. They want to see the real, live airline ticket in hand and have the authority to ask you for it. They consider it as proof of your proposed journey abroad. But these are only in very rare cases and are not the norm. Another expectation you should be prepared for is for the Embassy to ask you to furnish your airline ticket while collecting your visa.
All said and done, the fact remains that in 99% of Schengen Visa Applications cases, travellers need not purchase the real airline tickets for processing their visas. So, act smart and save your bucks instead of losing it all in case your visa application gets rejected!